06/06/2020 at 00:45 • 1 commentWanted to try and do something that didn't want to be done... of course I'm stubborn as cr*p (or "stubborn AF" as you youngsters say) so by the time I'd given up, everything was in a right nasty snarl of a mess...
...okay, it wasn't *quite* as bad as https://xkcd.com/1084/, or Strong Bad's little run-in with a virus:
...okay, so maybe the use of the singular 'virus' there was a little optimistic (ha!) -- but, nevertheless, I decided that between my mess, and a few little annoyances with the OS independent of that (not to mention that Steampunkish Too was running Linux Mint 19.1, based on Ubuntu 18.04), I was about due for an upgrade.
That's how I found out that (a) Intel NUC boards do the same 32bit UEFI / 64bit everything else stupidity that the cheap Chinese Atom SoC systems do... and (b) whatever was in Ubuntu 18.04's installer that was designed to handle that, was removed in 20.04's installer :(
After trying what only felt like a hundred or so different Ubuntu-based distros that you've never heard of (seriously, it was six or less), including a spectacular fail with Peppermint OS Ten where it installed fine, and I then spent the afternoon, evening, and a good part of the night trying to configure it the way I wanted (instead of letting it configure itself the way *it* wanted), I went to shut it down and it immediately froze on the button-click...
...well, that was a waste! /sigh
...I settled on Feren OS. It is installed, it is pretty, and it's running quite nicely RN. Here, have a screenshot ;)
The Glamour Reel
Next to the article, the page also holds data records:
____________
1.
Formula: C25H25N2O2
Source: the OMol25 dataset
Level of theory: ωB97M-V/def2-TZVPD

Atoms and positions in Å:
C (5.69, 1.67, 1.94)
O (5.15, 0.32, 1.89)
C (3.80, 0.17, 1.82)
C (3.26, -1.15, 1.96)
C (1.91, -1.30, 2.28)
C (1.01, -0.21, 2.47)
C (-0.39, -0.44, 2.73)
C (-0.95, -1.65, 3.02)
C (-2.37, -1.96, 2.82)
N (-2.85, -2.81, 4.09)
C (-3.74, -3.87, 3.90)
C (-4.17, -4.70, 4.93)
C (-3.84, -4.44, 6.31)
N (-4.33, -5.17, 7.38)
C (-4.20, -4.66, 8.78)
C (-4.63, -5.85, 9.67)
C (-4.53, -7.12, 8.81)
C (-4.43, -6.67, 7.34)
C (-2.98, -3.29, 6.49)
C (-2.46, -2.59, 5.40)
C (-3.11, -0.64, 2.64)
C (-4.50, -0.61, 2.71)
C (-5.20, 0.54, 2.31)
C (-4.51, 1.73, 1.96)
C (-3.14, 1.82, 2.25)
C (-2.46, 0.61, 2.53)
O (-1.10, 0.71, 2.59)
C (1.57, 1.07, 2.18)
C (2.91, 1.28, 1.85)
H (6.77, 1.52, 1.96)
H (5.41, 2.26, 1.05)
H (5.37, 2.23, 2.84)
H (3.91, -2.02, 1.88)
H (1.46, -2.29, 2.31)
H (-0.35, -2.49, 3.31)
H (-2.68, -2.73, 2.07)
H (-4.11, -4.02, 2.85)
H (-4.82, -5.54, 4.64)
H (-4.87, -3.79, 9.01)
H (-3.13, -4.37, 9.04)
H (-5.65, -5.70, 10.01)
H (-4.03, -5.93, 10.59)
H (-3.66, -7.70, 9.09)
H (-5.39, -7.78, 8.98)
H (-3.54, -7.13, 6.87)
H (-5.33, -7.02, 6.77)
H (-2.65, -3.00, 7.50)
H (-1.69, -1.79, 5.57)
H (-5.05, -1.50, 3.08)
H (-6.30, 0.54, 2.23)
H (-5.04, 2.61, 1.52)
H (-2.57, 2.75, 2.15)
H (0.94, 1.95, 2.13)
H (3.31, 2.29, 1.71)

* structure (SMILES): COc1ccc(C2=C[C@@H]([n+]3ccc(N4CCCC4)cc3)c3ccccc3O2)cc1
* HOMO-LUMO gap: 7.31 eV
* total charge: +1


2.
Formula: C25H25N3O3S
Source: the OMol25 dataset
Level of theory: ωB97M-V/def2-TZVPD

Atoms and positions in Å:
C (-8.78, -1.51, 0.25)
H (-8.66, -1.79, -0.90)
O (-7.65, -0.51, 0.45)
C (-6.46, -1.01, 0.27)
C (-6.08, -2.39, -0.34)
C (-4.81, -2.57, -0.28)
C (-3.87, -1.66, 0.17)
C (-4.23, -0.28, 0.38)
C (-5.60, 0.00, 0.55)
H (-5.85, 0.88, 1.02)
H (-3.55, 0.65, 0.80)
C (-2.49, -1.77, -0.28)
C (-1.32, -1.23, -0.13)
C (0.05, -1.43, -0.18)
O (0.35, -2.66, -0.66)
N (0.91, -0.57, 0.09)
C (2.36, -0.96, -0.02)
C (3.31, 0.03, 0.26)
C (4.73, -0.46, 0.11)
C (4.50, -1.84, 0.00)
S (2.84, -2.42, -0.44)
C (5.57, -2.72, -0.06)
C (6.91, -2.07, 0.50)
C (7.03, -0.70, 0.13)
C (5.92, 0.29, 0.19)
H (6.02, 1.12, -0.07)
H (6.02, 0.13, 1.51)
H (7.17, -0.58, -1.16)
H (7.95, -0.37, 0.45)
H (7.84, -2.81, 0.28)
H (6.79, -2.07, 1.48)
H (5.42, -3.80, 0.12)
H (5.93, -2.98, -1.26)
C (3.11, 1.39, 0.45)
O (3.62, 2.06, 1.39)
N (2.29, 2.30, -0.35)
H (1.99, 1.61, -1.39)
C (1.74, 3.47, 0.06)
C (0.22, 3.46, -0.20)
C (-0.57, 2.76, 0.81)
N (-1.68, 2.38, 0.86)
C (-2.60, 3.16, 0.01)
C (-1.99, 3.88, -1.15)
C (-0.56, 3.93, -1.15)
H (-0.13, 4.76, -1.99)
H (-2.35, 4.36, -1.92)
H (-3.45, 2.80, -0.17)
H (0.21, 1.98, 1.55)
H (2.14, 4.20, -1.09)
H (2.00, 3.85, 0.81)
H (0.72, 0.43, 0.22)
H (-1.44, 0.03, 0.22)
H (-1.98, -2.83, -0.58)
H (-4.38, -3.53, -0.61)
H (-6.70, -3.04, -0.34)
H (-8.72, -2.32, 0.98)
H (-9.79, -1.06, 0.32)

* HOMO-LUMO gap: 7.52 eV
* total charge: 0


3.
Formula: C25H25N4O2STi
Source: the OMol25 dataset
Level of theory: ωB97M-V/def2-TZVPD
____________
The data records stop here:
04/22/2019 at 05:17 • 1 comment...aka the photographic equivalent of me bragging at length. (Prepare your modems, this is a pack of two dozen poorly-compressed JPEGs straight off my rather nice phone camera.)
Well, without further ado... here we go...
"All Good Things..."
04/22/2019 at 05:03 • 0 commentsThis project has concluded, quite successfully, and this is me taking the time for a bit of reflection before I put up the Glamour Reel.
I have to say, it's a kind of a bittersweet post, this one. I've had real fun here. Yes, any number of challenges have presented themselves, but they were overcome, one-by-one, and in the end it was more than worth all the blood and sweat and tears, proverbial and otherwise...
I'll share three bits of relevant wisdom. One, from one of my favorite songs -- "Closing Time" by the band Semisonic -- "Every new beginning comes from some other beginning's end." It seems to me that this is only the start of something. After all, I built this machine with a purpose in mind, and that was not just to replace the first Steampunk DIY Laptop I made.
See, I was a lucky asshat when I was born. I got a double dose of creativity. My father has always been an artist or illustrator or designer or something involving the graphic arts basically since he was old enough to hold pencil or pen. My mother has been literary to largely the same degree for largely the same length of time.
I started drawing probably around age 8. I haven't stopped yet :) although most of my early work is so awful in retrospect that TBH I kind of want to burn it. (I suppose we all start somewhere, however.) For the longest time, however, every time I tried to write -- the result was so bad I could smell it (and it didn't smell very good at all.)
But, then, in 2012, something happened. A short story grabbed me and wouldn't let go. It eventually mutated into a novel, and then got completely rewritten once, abortively about halfway three more times, and completely once more. In the next few months, I think, I will be publishing it -- I'm in the very last stages of the very last pass of edits. After that, it's getting submitted to two literary agents (unless the first one picks it up right away) -- and if they both reject it I'm self-publishing on Amazon.
This computer was specifically created to help me finish that book and write its (hopefully many) sequels.
I took inspiration for this machine from a number of sources, obvious and otherwise. The MYST series of games, which I adore. The obvious overall 'steampunk' theme, which I also enjoy and appreciate quite a bit. Typewriters, of course. Various bits and bobs from my scrap pile lended themselves to the task, from the copier drum, to the brass gear from an actual brass clock, to the red cable tidy that was left over from my grandfather and his passion for cars and his aptitude for working with their engines. (I still remember his 1968 -- or was it '67? -- candy apple red Mustang with the canvas soft top -- I think -- and the little compass ball under the rear view mirror. I have never heard an engine with the same note since... sadly it had to be sold to settle his estate... I wonder where it is, now...)
I do hope that this project inspires others to build their own systems -- beautiful and otherwise -- although, all things are beautiful in some way to someone, I'd say. It's really not that hard to put together a computer that looks and works quite well, if one can get past the "OMG IT'S A COMPUTER" intimidation, and do a little research with the help of The Great Goog. On that note -- if anyone is having trouble with that and wants help, PM me. I'm here for that.
...and, with not much further to say, here, I shall close this post, with the second and third bits of wisdom -- the second, a quote from the character Atrus at the end of the game RIVEN, the sequel to MYST: that, in this project and in all things, "...perhaps, the ending can never be written..." and the third, and more significant, being the last line from the two-part "Star Trek: The Next Generation" episode (the series-ender, specifically) from which this post takes its title -- "The sky's the limit."
Houston, We Have Liftoff
04/21/2019 at 21:51 • 0 commentsI'm typing this /on/ the Steampunk Laptop. I had a bad HDMI cable and a bad keyboard cable, which mimicked the symptoms of a basically dead system.
A major thank-you and shoutout to Jody, a good local pal of mine and the owner of the town's better tech shop (if you or someone you know are/is anywhere in the Triangle or RTP regions of North Carolina, and you/they need computer assistance, go here / send them here -- http://nctritech.com). Jody helped me troubleshoot -- he's brilliant at that (and I'm crap at it). After he helped me determine that the system was in fact booting, but that there were issues related to video/display and to the keyboard, I was able (with a few extra tips) to take the next set of necessary steps to deduce what was going on with the video -- simply a bad cable, as mentioned above.
The keyboard required some more extensive investigation, but it turns out that the USB implementation used by this partticular keyboard is incomplete -- it is USB 2.0 /only/. It will work with USB3.0 ports at USB2.0 speeds and with that legacy protocol. It will /not/ work at USB 1.1/1.0 speeds, however, no matter what you do, because the controller chip inside the keyboard does not strictly speaking support USB and is instead badly abusing its I2C pins to produce the signals. This means that using the keyboard with an unshielded USB cable will absolutely not work because of crosstalk. The damn thing won't even enumerate.
Fortunately, since this build requires pretty braided USB cables because duh, I had a spare somewhat-random one that had a different color from the rest (red vs white) but that had shielding inside and would work for the purpose. That is now the keyboard cable and -- as evident by the wall of text I'm erecting here -- the keyboard has had no complaints since.
As for the HDMI cable, I was able to relocate the LCD driver board to fit a shorter flat-style cable, and to fit a longer power cord from switch to driver board, as well.
Having fit everything back together, I plugged in the power supply, flipped the switch, and pressed the button -- and soon I was booting into Linux Mint 19.1's LiveUSB environment! The first attempt at installing the OS did not go so well -- GRUB2 would not install -- but this was fixed by changing the SSD access mode from IDE to AHCI and rerunning the installer.
So far the only lingering issue is Internet speed -- one of the antennas is boxed in, badly, so this is somewhat to be expected -- and I'm vacillating badly about how to fix that. I have a PCB antenna from a dead router that I can stick on the outside of the USB hub, and that will improve performance, but the required disassembly at this point is nearly Herculean. OTOH, I have a couple of nice USB adapters, but I'm really not sure that I want to go that route.
EDIT 6:45 PM EST 21 APR 2019 -- dug out a Netgear WNDA4100 USB WiFi adapter and a random USB cradle for it. Speeds are significantly improved. I think I'll stick with that for now... I'll put up the PCB antenna when something breaks or if I get a RAM upgrade... not that I'll need *that* any time soon.
Final system specs -- Intel 'NUC' DN2820FYKH motherboard (from 2014) + Celeron N2820 CPU / 4gb DDR3L RAM / 256gb ADATA SSD. The system has its stock internal WiFi card (switched off for the Netgear adapter) and an Anker 4-port USB3.0 hub hooked into the motherboard's lone USB3.0 port. Screen is a touch-capable SunFounder RasPi job that's 10.1" diagonally and 1280x800 px resolution. Keyboard is a MagicForce 68-key job with 'retro typewriterr' silver/black keycaps, and an Arduino Micro programmed with QMK firmware and some special sauce from me runs two rotary encoders -- the left side controls volume (spin 'up' for vol-up, 'down' for vol-dn, press in to toggle mute) and the right side is a mouse scroll-wheel ('up' to scroll up, 'down' to scroll down, and press for a wheel-click -- "mouse button #3 press"). Operating system is Linux Mint 19.1 with the Cinnamon DE (I made myself try it out -- it's not bad, compared to my usual XFCE. In some small ways, it's actually /better/.)
Later tonight or tomorrow morning I'll take the final set of photos and put that up in one last project log. After that, it hits the tip line like a raging locomotive's cowcatcher :P
Future, And It Doesn't Work
04/20/2019 at 18:00 • 0 commentsFirst power-up results: I need to buy an HDMI cable, and there's something fucky going on with the keyboard.
I'll be back when I have more information.
EDIT 6:18 PM EST / 20 APR 2019 -- This is related: https://hackaday.io/page/6124
My Steampunk Brings All The Boys To The Yard...
04/18/2019 at 16:23 • 2 comments...and they're like, "it's better than yours." D*mn right it's better than yours! (I could teach you, but I'd have to charge...)
Sorry, I just couldn't help myself :D
Except for the power brick and OS install, the laptop is DONE! The screen is on, the power harness got redone in the process, and some other things happened as well. Here's a recap.
First, the screen. I wound up with a nice 10.1" display from SunFounder that got used (or partially used and found wanting) for something and then tossed up on fleaBay. It's a touch display but I don't have that cable... which is OK because touch displays on laptops are stupid and redundant. (Give me a touch display on something that doesn't also already have a frickin' mouse and we'll talk.) However, the screen was not without its challenges. It has a metal cover over the back, with mounting points for driver board and a RasPi. Some of the Pi mounts are adjustable. It's also somewhat upside-down the way it displays -- on most displays, the display controller PCB that's on the display, is at the top. I'm pretty sure that this one's PCB is at the /bottom/, though, because the metal there pokes out farther. Very strange.
I wound up insulating the back of the driver board with electrical tape and mounting it with the double-stick foam stuff to the Pi area, The display proper is on two hinges, with superglue affixing them both to the screen module and to the bracket on the other side. There's a top bracket and a bottom bracket, both made from steel treated with that iridescent yellow coating. They were originally intended as 5/25"->3.5" bay adapter brackets, but nobody cares. The upper side is held on with two layers of double-stick foam tape. I do not intend to service this machine often, but I want it serviceable in case I need to do so...
As for the power harness, I was originally going to do something sneaky. The original power supply was to be a LaCie "Bigger Disk" brick, capable of 12v 3a and 5v 4.2a. The problem is, the system unit itself is rated 12v 3a, leaving nothing for the screen. The USB hub needs 5v, but only really 2a -- I'm never gonna plug a 1a device into every single port of that hub, and it'd probably smoke if I tried that. So, to power the screen, I got a step-up converter that was to go in and turn 5v to 12v for the screen.
This SunFounder display, though, has a 5v 2a USB tap on it, intended for powering a Pi. You can probably guess where this is going already... yup, power the USB hub off the display, and then I only need a 12v supply. So I ordered a 12v 5a power brick that will be here hopefully tomorrow (but possibly Saturday), and re-plumbed the power harness to reflect the change.
That, and redoing the brackets on the keyboard side (that hold up the copier drum) -- due to the lid being so thick -- that's about it. /Those/ wound up being inch-and-a-half brackets, three each side, with straight braces across 'em. Doesn't look pretty (rather industrial, actually) but it works a charm.
Here, pictures...
04/16/2019 at 00:22 • 0 commentsSorry folks... I went shopping today and got the angle brackets I needed but right now I'm just too deep into the state of what the locals here call "plum tuckered" to really do anything meaningful. So I'm gonna go draw and listen to VNV Nation and drink Diet Coke. If I get a second wind I'll do something and post the aftermath, but don't get your hopes up, okay...? It'll probably be tomorrow before anything meaningful happens.
Molecular data that have nothing to do with the article >
+++
Version A
The following is a DFT calculation (ωB97M-V/def2-TZVPD) of an isolated ion of composition C3H6N and charge +1.

Its SMILES is CC=C=[NH2+]. For the gap between HOMO and LUMO, the calculation gives 0.398 Ha. The total charge is +1.

The geometry in XYZ format:
```
10
C3H6N (ωB97M-V/def2-TZVPD)
N 1.8490 0.6690 0.2864
C -1.3516 -0.3956 -0.6794
C 0.8196 0.0252 0.5582
C -0.3960 -0.4012 0.5023
H -1.0927 0.1514 -1.5147
H -2.1547 0.1076 -0.2758
H -1.5942 -1.5345 -0.8499
H 2.0680 1.6129 0.5886
H -0.9285 -0.6502 1.3818
H 2.7810 0.4153 0.0026
```

---

Version B
The following is a DFT calculation (ωB97M-V/def2-TZVPD) of an isolated ion of composition C3H6N and charge +1.

Its SMILES is C=C[NH+]=C. For the gap between HOMO and LUMO, the calculation gives 0.246 Ha. The total charge is +1.

The geometry in XYZ format:
```
10
C3H6N (ωB97M-V/def2-TZVPD)
N -0.3461 0.3702 0.9142
C -1.0455 -0.8614 0.3539
C 0.2279 0.9230 -0.2311
C 1.2999 0.2873 -0.8465
H -0.8410 -1.7440 1.0353
H 1.7970 0.5686 -1.8183
H -2.0674 -0.4441 0.2450
H -0.5488 1.3917 -0.8012
H 1.3207 -0.7965 -0.6301
H 0.2033 0.3053 1.7788
```

---

Of them, the most stable is version A and the least stable is version B.

---

Version A
The following is a DFT calculation (ωB97M-V/def2-TZVPD) of an isolated ion of composition C5H15N3 and charge +2.

Its SMILES is C[C@@H]([NH3+])C/C([NH3+])=C/N. For the gap between HOMO and LUMO, the calculation gives 0.326 Ha. The total charge is +2.

The geometry in XYZ format:
```
23
C5H15N3 (ωB97M-V/def2-TZVPD)
N 0.1738 -0.7345 1.7384
N -2.0706 -1.0492 -1.5370
N 2.3279 1.2439 1.4416
C 0.4165 -0.9473 -1.5542
C -0.8448 -0.1080 -1.4071
C 1.1203 1.3534 0.8069
C 0.1422 0.3888 0.7355
C -1.0535 0.4870 -0.1169
H 0.9468 2.1250 0.0784
H 0.8936 -1.1389 -0.6401
H -2.8125 -0.6603 -2.3268
H 2.5666 0.4401 1.9886
H 1.2250 -0.1174 -1.9703
H 0.1093 -0.4346 2.7462
H -2.6496 -1.1172 -0.6524
H 3.1937 1.8954 1.2440
H -1.9231 0.0770 0.4398
H -1.8358 -2.1000 -1.8400
H 0.3711 -1.8612 -2.1609
H -0.5984 -1.4840 1.4396
H -0.9078 0.6836 -2.3205
H -1.2746 1.6798 0.0424
H 0.9940 -1.2517 1.6455
```

---

Version B
The following is a DFT calculation (ωB97M-V/def2-TZVPD) of an isolated ion of composition C5H15N3 and charge +2.

Its SMILES is C/C=[N+](\N)[C@@H](C)[NH2+]C. For the gap between HOMO and LUMO, the calculation gives 0.394 Ha. The total charge is +2.

The geometry in XYZ format:
```
23
C5H15N3 (ωB97M-V/def2-TZVPD)
N -0.3737 -0.4245 -0.9066
N -0.3459 -1.5994 -1.6846
N -0.0519 0.5467 1.4689
C -1.5888 0.7498 -2.5663
C -0.8892 0.6442 -1.3054
C 0.4469 -0.4178 0.4073
C -0.1691 0.0740 2.8759
C 1.9680 -0.1750 0.1586
H -0.2347 -1.4180 -2.6688
H -2.4201 -0.0268 -2.7872
H -0.0915 0.9281 3.4494
H -1.1257 -0.4512 2.9603
H 0.3037 -2.3780 -1.2763
H -1.0003 0.6625 0.9989
H 0.8261 -0.3983 3.0266
H 0.4530 1.4847 1.5873
H 2.0802 0.8224 -0.2567
H 2.4844 -0.3975 1.1873
H 0.2266 -1.4213 0.8569
H -1.9916 1.7954 -2.7168
H 2.4511 -0.8358 -0.6916
H -0.8006 0.2627 -3.2121
H -0.6030 1.4968 -0.6723
```

---
+++
So much for the molecular data >
They see me postin', they lovin'...
04/14/2019 at 23:30 • 0 commentsDon't think I haven't noticed what happens right after I post a project log, every single time... ;)
Do feel free to comment, if you're even slightly inclined, not just +Like and/or Follow -- I'm (usually) open to new ideas and I promise I don't bite. IOW, feedback is both welcome and encouraged, and 'Post' here is more a button and an activity than a cereal company.
"It's not much fun for one...", as Piglett once pointed out, somewhere deep and distant within my youth... so come in and chat. There's magic to be done!
"Bracket To Me...!", Part The Second
04/13/2019 at 16:57 • 0 commentsYeah, I'm gonna need the one-and-a-half inch brackets.
"Bracket To Me...!", Part The First
## These calculated molecules were left in the entry by mistake
A molecular structure, C20H27FeN2O3 at a distorted geometry, computed with wB97M-V/def2-TZVPD.

Values from the calculation:
E_tot: -2376.763852 hartree
Net charge: +1
Multiplicity: 5
M: 399.29 g mol⁻¹

Element x y z (Å)
O1 1.1131 -2.6170 1.9866
C1 0.9611 -1.5578 1.5154
Fe1 0.8455 0.0954 0.9871
C2 1.8804 0.6916 2.2950
O2 2.6433 0.8109 3.1641
C3 2.0186 -0.0963 -0.2581
O3 3.0705 -0.3396 -0.7010
C4 -2.0693 0.0062 2.8840
C5 -2.2510 -0.8544 1.5666
C6 -1.1469 -0.6498 0.5307
C7 -0.9055 0.6959 0.1155
C8 -0.8313 1.6074 1.2329
C9 -1.2230 1.1949 2.5145
H1 -1.3776 -0.6348 3.4543
H2 -2.2796 -1.9197 1.8567
H3 -3.2357 -0.6262 1.1083
H4 -1.1078 -1.4841 -0.1909
H5 -0.7448 0.9920 -0.9167
H6 -0.4910 2.6342 1.0483
H7 -0.7598 1.6986 3.3755
C10 -2.9214 5.7614 7.1341
N1 -3.2408 4.4516 6.6212
C11 -2.5545 4.1526 5.3946
C12 -3.1228 2.8866 4.7789
N2 -3.0510 1.7564 5.7067
C13 -2.9260 0.5200 5.2323
C14 -3.2725 0.1657 3.7639
C15 -4.1100 -1.1514 3.7865
C16 -3.4036 -2.2921 4.5181
C17 -3.1173 -1.9675 5.9759
C18 -2.4892 -0.5796 6.1608
C19 -3.5815 2.0561 7.0773
C20 -3.1307 3.4085 7.6171
H8 -3.6011 6.0100 7.9561
H9 -1.8863 5.8493 7.5090
H10 -3.0535 6.4971 6.3341
H11 -2.7454 4.9857 4.7042
H12 -1.4548 4.0543 5.5299
H13 -4.1807 3.0633 4.5123
H14 -2.5490 2.6629 3.8728
H15 -3.9504 0.9362 3.3591
H16 -5.0339 -0.8982 4.3202
H17 -4.3981 -1.4835 2.7788
H18 -4.0354 -3.1874 4.4743
H19 -2.4636 -2.5564 4.0122
H20 -4.0366 -2.0549 6.5716
H21 -2.4332 -2.7195 6.3875
H22 -1.4018 -0.6951 5.9919
H23 -2.5998 -0.3078 7.2184
H24 -4.6835 2.0911 7.0342
H25 -3.2959 1.2979 7.8133
H26 -2.0987 3.3352 8.0281
H27 -3.7881 3.7098 8.4491

Atom charges from the Löwdin analysis, given in e for atoms 1 to 6: 0.139 -0.169 0.180 -0.119 0.129 -0.155

=====

A molecular structure, C20H27IN6Ru, computed with wB97M-V/def2-TZVPD.

Values from the calculation:
E_tot: -1497.827802 hartree
Net charge: +4
Multiplicity: 5
M: 579.45 g mol⁻¹

Element x y z (Å)
Ru1 0.2513 -0.2535 -0.2872
C1 3.9011 0.6026 -2.4608
C2 2.6260 0.6115 -1.7186
N1 2.0688 -0.4579 -1.2321
C3 2.7120 -1.7779 -1.3032
C4 1.9533 -2.7288 -0.3907
N2 0.5181 -2.4764 -0.6319
C5 -0.4533 -3.3173 0.0910
C6 -1.8755 -2.9018 -0.3431
N3 -1.8212 -1.7178 -1.2094
C7 -3.0204 -0.8802 -1.2998
C8 -2.9960 0.2170 -0.2417
N4 -1.6857 0.8567 -0.2796
C9 -1.5484 2.1404 -0.2389
C10 -2.6322 3.1135 0.0264
C11 -0.1900 2.6183 -0.6062
C12 0.1823 3.9362 -0.8253
C13 1.4399 4.1999 -1.3644
C14 2.2865 3.1477 -1.7088
C15 1.8754 1.8517 -1.4426
N5 0.6760 1.6248 -0.8685
H1 3.9742 -0.2634 -3.1215
H2 4.7475 0.5356 -1.7622
H3 4.0416 1.5021 -3.0547
H4 3.7577 -1.7142 -0.9964
H5 2.6975 -2.1376 -2.3380
H6 2.1902 -2.5486 0.6585
H7 2.2164 -3.7642 -0.6218
H8 0.3744 -2.6186 -1.6307
H9 -0.3152 -3.1885 1.1643
H10 -0.2650 -4.3733 -0.1205
H11 -2.4943 -2.6869 0.5265
H12 -2.3684 -3.7220 -0.8760
H13 -1.5298 -1.9762 -2.1504
H14 -3.9245 -1.4809 -1.1596
H15 -3.0577 -0.4348 -2.2929
H16 -3.1937 -0.1902 0.7505
H17 -3.7959 0.9207 -0.4716
H18 -3.4419 2.6961 0.6195
H19 -3.0565 3.4667 -0.9240
H20 -2.2562 4.0024 0.5323
04/13/2019 at 04:00 • 0 comments...as opposed to "socket to me", because neither a socket set nor former President Richard Nixon are involved in this production, but angle brackets are.
Specifically, in this case, the angle brackets connecting the copier drum to the keyboard, which at this point are too small to deal with the size of the lid. They are scavenged from a Western Electric telephone, one of the Decor series ones with a dial pad and getup in a faux-wood and faux-leather box for people in the 80s who thought they were too cool to have an exposed desk phone on their desk. These brackets held the dial pad in place.
Today I went to Wal-Mart. I got two packs of one-inch angle brackets, two packs of short straight brackets, one pack of longer straight brackets, and some washers and machine screws. I wish I'd looked at the machine screws closer before I paid -- they will not be useful. I also wish I'd been able to get some one-and-a-half-inch angle brackets, but such is my luck that they were out. Hopefully they'll be on whatever truck has been through by Monday afternoon. I'm not 100% sure I need them, but I hope they're there if I do...
Tomorrow I will go about reassembling the keyboard / copier drum getup and see if one-inch angle brackets will add enough height. I have my doubts, but only time and trials will tell. I'm planning on using three angle brackets on each side, with the straight brackets reinforcing, and washers as spacers where needed.
I need to rewire the power harness as well, anyways -- the screen, as it turns out, is made for a Raspberry Pi setup, and it has an integrated 5v 2a power supply for powering said Pi directly off the display. As such, I'm going to repurpose that for driving the USB hub's power port (it's a USB-A connector right there anyways) if I at all can, and that means that the entire rest of the computer takes 12v input, which in turn means that I can drive the system off a 12v 5a single-voltage power brick instead of needing a dual-rail brick. I even have a very pretty matching barrel jack somewhere... this is also nice from an electrical perspective, because it means the power toggle can now take on power and ground at once. I have to check the amp rating of the switch, but I'm relatively sure it'll be fine. If not, I can get another.